Contents:
********
No. 1
An isolated molecule of C4H8O2, computed with ωB97M-V with the def2-TZVPD basis set.

Computed properties:
LUMO: 1.08 eV
Net charge: 0
Frontier orbital gap: 10.961 eV
Structure (SMILES): C[C@H]1COCO1
DFT total energy: -307.6659 Eh

CARTESIAN COORDINATES (ANGSTROEM)
C 0.9252 0.8743 -1.3078
C 0.3916 0.3723 0.0176
C -1.1384 0.3536 0.1482
O -1.4189 -0.8204 0.8951
C -0.1896 -1.4688 1.1366
O 0.7191 -1.0008 0.1842
H 0.6569 1.9257 -1.4573
H 2.0155 0.7937 -1.3453
H 0.5067 0.2872 -2.1312
H 0.8273 0.9509 0.8487
H -1.5242 1.2370 0.6695
H -1.6236 0.2838 -0.8341
H 0.1588 -1.2387 2.1588
H -0.3063 -2.5499 1.0170

---

No. 2
C4H3NO2 as an isolated structure, computed with ωB97M-V with the def2-TZVPD basis set.

Computed properties:
LUMO: 0.86 eV
Net charge: 0
Frontier orbital gap: 10.126 eV
DFT total energy: -359.3282 Eh

CARTESIAN COORDINATES (ANGSTROEM)
O -2.4433 1.0150 2.1449
C -1.8415 0.9687 1.1596
C -0.2702 -0.1235 0.7447
N -0.2823 0.4284 -0.4463
C 0.7642 -0.0804 -1.1891
C 1.4006 -0.9605 -0.3881
O 0.7558 -0.9894 0.8210
H -1.3197 1.1296 -0.1319
H 0.9744 0.2143 -2.2061
H 2.2621 -1.6021 -0.5087

---

No. 3
C31H49BN7O2PSTa as an isolated structure, computed with ωB97M-V with the def2-TZVPD basis set.

Computed properties:
LUMO: -9.91 eV
Net charge: +3
Frontier orbital gap: 6.932 eV
DFT total energy: -2565.1572 Eh

CARTESIAN COORDINATES (ANGSTROEM)
Ta 0.6011 0.8120 1.2786
N 4.5361 0.1075 2.3488
C 4.9212 0.0416 1.0066
C 6.1652 -0.1164 0.4053
C 6.1757 -0.1312 -0.9723
C 4.9960 0.0080 -1.7285
C 3.7664 0.1641 -1.1268
C 3.7517 0.1757 0.2650
N 2.6832 0.3188 1.1642
C 3.2154 0.2729 2.3944
C 2.3649 0.3814 3.5842
C 2.6879 0.3013 4.8974
S 1.2904 0.4685 5.8691
C 0.3289 0.6120 4.5078
N 0.9936 0.5657 3.3627
H 5.1621 0.0432 3.1385
H 7.0731 -0.2205 0.9838
H 7.1162 -0.2508 -1.4922
H 5.0662 -0.0079 -2.8075
H 2.8581 0.2780 -1.7046
H 3.6535 0.1480 5.3545
H -0.7425 0.7501 4.5584
N -0.7708 -0.1578 0.7766
P -1.7131 -1.3541 0.0146
N -1.4157 -2.7178 0.8269
C -1.2067 -4.0395 0.2147
C 0.1794 -4.5680 0.5661
C 0.4085 -4.5676 2.0788
C 0.1323 -3.1855 2.6748
C -1.2693 -2.7254 2.2963
N -1.1569 -1.3923 -1.5021
C 0.2915 -1.2083 -1.7193
C 0.6905 -1.6571 -3.1195
C 0.0401 -3.0125 -3.4211
C -1.4933 -2.8761 -3.4569
C -1.9770 -1.6341 -2.7065
N -3.2708 -0.9432 0.0314
C -3.6811 0.3640 -0.5251
C -4.9859 0.2355 -1.3032
C -6.0683 -0.4154 -0.4450
C -5.5856 -1.7584 0.0968
C -4.2926 -1.5916 0.8826
H -1.3375 -3.9542 -0.8633
H -1.9773 -4.7134 0.5993
H 0.9418 -3.9503 0.0784
H 0.2776 -5.5791 0.1704
H 1.4259 -4.8879 2.3022
H -0.2613 -5.2932 2.5485
H 0.8580 -2.4555 2.2895
H 0.2224 -3.2213 3.7630
H -1.4870 -1.7281 2.6816
H -2.0130 -3.4103 2.7123
H 0.8444 -1.7931 -0.9688
H 0.5684 -0.1481 -1.5667
H 1.7778 -1.7239 -3.1671
H 0.3751 -0.9191 -3.8585
H 0.3459 -3.7221 -2.6470
H 0.4043 -3.4044 -4.3681
H -1.9665 -3.7671 -3.0422
H -1.8415 -2.7928 -4.4872
H -3.0127 -1.7540 -2.3933
H -1.9239 -0.7471 -3.3397
H -2.8795 0.7368 -1.1680
H -3.8090 1.0715 0.3012
H -4.8212 -0.3604 -2.2044
H -5.2979 1.2301 -1.6235
H -6.9754 -0.5509 -1.0325
H -6.3252 0.2448 0.3891
H -5.4173 -2.4559 -0.7283
H -6.3355 -2.1999 0.7537
H -3.9119 -2.5551 1.2177
H -4.4739 -0.9660 1.7631
C -0.6990 5.8229 -0.8981
C 0.2102 5.0085 -0.0045
C 0.8613 5.8737 1.0579
O -0.6208 4.0141 0.7206
B 0.1329 2.9350 0.8219
O 1.3238 2.8808 0.1291
C 1.2231 4.1108 -0.7887
C 0.6840 3.5805 -2.1032
C 2.6032 4.6950 -0.9368
H -1.3673 6.4195 -0.2798
H -1.3010 5.1996 -1.5558
H -0.1061 6.5070 -1.5076
H 0.0826 6.3257 1.6697
H 1.4339 6.6783 0.5971
H 1.5253 5.3017 1.7077
H -0.3115 3.1478 -1.9856
H 1.3624 2.8190 -2.4906
H 0.6282 4.3806 -2.8401
H 3.0632 4.9170 0.0231
H 2.5306 5.6233 -1.5061
H 3.2474 4.0119 -1.4898

---

No. 4
A 8-piece molecular cluster, C40H48O2S2 overall, computed with ωB97M-V with the def2-TZVPD basis set.

Computed properties:
LUMO (spin up / spin down): 2.35 / 2.33 eV
Net charge: -1
Frontier orbital gap (spin up / spin down): 1.903 / 8.821 eV
Spin multiplicity: 2
DFT total energy: -2499.6199 Eh

CARTESIAN COORDINATES (ANGSTROEM)
C 1.0776 -1.4280 0.6239
********

What to do:
Retype the lines above up to the one that holds "1.1366", that line included.

Here it is:
No. 1
An isolated molecule of C4H8O2, computed with ωB97M-V with the def2-TZVPD basis set.

Computed properties:
LUMO: 1.08 eV
Net charge: 0
Frontier orbital gap: 10.961 eV
Structure (SMILES): C[C@H]1COCO1
DFT total energy: -307.6659 Eh

CARTESIAN COORDINATES (ANGSTROEM)
C 0.9252 0.8743 -1.3078
C 0.3916 0.3723 0.0176
C -1.1384 0.3536 0.1482
O -1.4189 -0.8204 0.8951
C -0.1896 -1.4688 1.1366